[SIGPIC]Handle: @kirian_darkstar
Registered: Oct/2009 , LTS : Feb/2011
Fleets: Warriors of the Phoenix, Kirian Industries[/SIGPIC] Three years and still no Captain Klaa hair...
Do not revel in their downfall, my friend. If we had not swallowed our pride and allied with the Federation after the destruction of Praxis, we would have faced every trial the Romulans have suffered ? and more.
By supporting the new Romulan colony, we conquer one of our greatest foes without a single blow. We gain their friendship, and later perhaps their loyalty. We solidify our relationship with the Remans. And we still retain the chance for combat and glory ? the Romulans are not in a position to fight their own battles. They will need our ships to defend them from the Tal Shiar and the Tholians.
The writing is on the wall, combined faction- all against the A.I.
This makes me want to get involved with the Romulans even more now ... not. The Duras Family has no honor and they are dictating policy in the Empire now? Perhaps it's time for the true warriors to rise up and remove these honorless petaq'pu from the Empire once and for all. I do not wish for a Civil War, but it may be the only way to stop this madness.
i have a feeling there is little in the way of warfare between the kdf and starfleet by this point in the story, everyone knows the unidine caused the conflict, and that was due to iconian interference.
but at least J?mpok has no interest in normalized relations with the federation at this point, outside of cooperation against the borg. thats us players, TFO members, the minority in universe.
Im starting to like this angle. What are Klingons whining about? Better that one of your leaders has a solid head on his shoulders and looks to their own history to prevent repeating it. To want to wipe out the Romulans who are trying to be a peaceful ally would just make all Klingons look like the dumb dogs we Feds assume you all are. Actually thinking things through logically and looking at the bigger picture is what the Klingons should be doing, not looking to kill everything in sight.
STO: @AGNT009 Since Dec 2010
Capt. Will Conquest of the U.S.S. Crusader
Im starting to like this angle. What are Klingons whining about? Better that one of your leaders has a solid head on his shoulders and looks to their own history to prevent repeating it. To want to wipe out the Romulans who are trying to be a peaceful ally would just make all Klingons look like the dumb dogs we Feds assume you all are. Actually thinking things through logically and looking at the bigger picture is what the Klingons should be doing, not looking to kill everything in sight.
I like stuff like this as it adds flavour but I'd so like to see these updates appear in game for immersion and realism rather than reading them on the website.
there must be a simple way they can set up a console to give out regular 'federation news service updates' or 'KDF intelligence' operative in the back ally of qo'nos to keep you updated on the latest intelligence/news.
Im starting to like this angle. What are Klingons whining about? Better that one of your leaders has a solid head on his shoulders and looks to their own history to prevent repeating it. To want to wipe out the Romulans who are trying to be a peaceful ally would just make all Klingons look like the dumb dogs we Feds assume you all are. Actually thinking things through logically and looking at the bigger picture is what the Klingons should be doing, not looking to kill everything in sight.
Those that do not know history are doomed to repeat it. The Duras are not to be trusted. The Romulans are not to be trusted. The Remans, they are honorable warriors and we will aid them. However, we are Klingons and we can not over look the actions of these dishonorable petaQ so easily. There is still a lot of animosity and hatred that exists, and the high council expects us to trust them so easily? I will remain cautious and keep my mek'leth close at hand. I suspect ... no I expect Romulan treachery.
i Like Stuff Like This As It Adds Flavour But I'd So Like To See These Updates Appear In Game For Immersion And Realism Rather Than Reading Them On The Website.
There Must Be A Simple Way They Can Set Up A Console To Give Out Regular 'federation News Service Updates' Or 'kdf Intelligence' Operative In The Back Ally Of Qo'nos To Keep You Updated On The Latest Intelligence/news.
I do like where this is going I just have a few problems of how the story telling from what we know so far isn't meshing to me atleast on where the game is heading.
#1. If we are to be allies with both Factions in relation to the Romulans and get their tech but not able to play actual romulans and then the fake romulan aliens we made would need to be able to be turned into actual romulans...
#2. There is a Fed/KDF war but yet both sides are in an alliance with the Romulan Star Empire. It's like the hatfields and the mckoys go to a restraunt and because they both like the food they just happen to not shoot each other until they get to the parking lot?
#3. How is the KDF going to benefit from this alliance? How is it benefiting from a cease fire or possible end to the Fed/KDF war? I could see the federation going into an alliance but very vague look of it being any romulan can come in and pretend to be one of them and sabotage the alliance and then so much hostility in the past against the KDF that they could even look at peace lol.
This all seems an attempt in reality to keep the war going but to declaw the KDF once and for all.
Although it would be cool if we had a negh'var-scimitar hybrid to come out of this then I could agree on it
Yes, Duras is not to be trusted, and Romulans aren't to be trusted... we're all aware of these points.
But just because this has happened in the past, does not mean the Klingons have to turn them away at every turn without thinking. That would not be honorable.
No, they'll meet with the Romulans, as honor dicates They say keep your enemies closer, and this is as close as can be... and if there's any treachery, well, you know what's next.
And blindly fighting enemies when you could potentially learn more about their defenses, and subdue them without effort? Where's the honor in blindly lashing out based on past prejudices? That'd make them no better than the Tal'Shiar
Was named Trek17.
Been playing STO since Open Beta, and have never regarded anything as worse than 'meh', if only due to personal standards.
This makes me want to get involved with the Romulans even more now ... not. The Duras Family has no honor and they are dictating policy in the Empire now?
Duras and his father were dishonorable, but Ja'rod (this Ja'rod) appears to be a good example for other warriors.
"Critics who say that the optimistic utopia Star Trek depicted is now outmoded forget the cultural context that gave birth to it: Star Trek was not a manifestation of optimism when optimism was easy. Star Trek declared a hope for a future that nobody stuck in the present could believe in. For all our struggles today, we haven’t outgrown the need for stories like Star Trek. We need tales of optimism, of heroes, of courage and goodness now as much as we’ve ever needed them." -Thomas Marrone
Duras and his father were dishonorable, but Ja'rod (this Ja'rod) appears to be a good example for other warriors.
Ja'rod the Elder was a traitor, Duras was a traitor, Toral was a traitor, Lursa was a traitor, B'etor was a traitor, and most recently foster-father Torg was a traitor. But we can trust Ja'rod the Younger, really.
Probably the main reason Jempok hasn;t made peace yet is that he was a pretty huge supportour of hostilities. o admit he messed up would make him look weak, and thats not a good position for a chancellor to be in.
This is most interesting. I do wish this game could have followed the Typhon Pact storyline instead of this melting pot of inconsistent plots. I do like most of the changes to this game since I first started playing this game about two years ago. Keep up the great work Cryptic.
So the fed vs kdf can finally end....lets just hope it will bring blue UI for kdf lol
this is the only PC game which has the story outside the game on a site
How hard would it be to just give this script to a dev, and just make a cut scene only mission where we arent participating, just watching the turn of events. Something like that. Devs are always saying hardly any of their players come to the forums, Im assuming that means website to, so why do you only feed the story to us irrelevant few on the forums?
STO: @AGNT009 Since Dec 2010
Capt. Will Conquest of the U.S.S. Crusader
Duras and his father were dishonorable, but Ja'rod (this Ja'rod) appears to be a good example for other warriors.
This was a great read. Thanks, Cryptic!
You are forgetting the Jm'pok/Ja'arod deal with House of Torg that raised Ja'rod and got Worf banished from the Great Hall... So this is a good example to set for other warriors... I think not :P
Hey Devs, how's the progress on the in-game infobase so we can get these nice little bits of story in-game? And to seperate out the old 2409 lore from the massive list of accolades (along with the new "History of New Romulus" stuff). Seriously, how much of the playerbase do you think you're not missing by leaving this stuff out of the game proper?
This sounds good, lot better than the. Fed story: Copy, Paste, and here is your story. Which is what I been seeing a lot playing my KDF to get him up to current game story. The last couple of stories I just hit click and go on the mission as fast as I could. Since the story was so lacking and horrible.
USS Casinghead NCC 92047 launched 2350
Fleet Admiral Stowe - Dominion War Vet.
If we can not see regular story content missions illustrating progression like this - please develop other ways. Even just a new datachip every month that has a 100% chance of dropping from all npcs (only once per character).
1. Good job Cryptic, I'm glad you finally justified the Klingon involvement with the new Romulus movement.
2. The Empire is on the verge of renewed civil war. The House of Martok and their supporters want to end the war with the Feds and fight the Roms. The House of Duras want it the other way around. J'mpok supports the Duras, because he needs their support politically, and he doesn't want to look weak (he advocated the federation war). My prediciton: Duras and Martok will be on the verge of fighting when the H'urq return with their Fekhliri allies/slaves and TRIBBLE both houses over. Then the two will combine to fight their new mutual enemy.
3. The Iconians, having lost the Romulans are proxies, seem to be switching to the Tholians. But their pillaging of the romulans has cost them: they accidentally united the Federation, Klingons, and Romulans. my Prediction: This three-pronged alliance will be the bulkhead for the defense against the Borg, Undine, and Iconians. The Iconian allies will be the Tholians and the Tal Shiar. The stage is set.
Kudos to the writter.
Registered: Oct/2009 , LTS : Feb/2011
Fleets: Warriors of the Phoenix, Kirian Industries[/SIGPIC]
Three years and still no Captain Klaa hair...
This is awesome.
The writing is on the wall, combined faction- all against the A.I.
-- begin --
No. 1
For HfMg14B, a DFT-relaxed cell (GGA-PBE, Alexandria) gives the theoretical PXRD pattern in this record (Cu Kα X-rays).
Kinematic intensities with the Lorentz-polarization factor, no thermal factor.

Peak list (12 most intense, 5 to 70 degrees two-theta, sorted by position)
| 2theta | I/Imax | h k l |
| --- | --- | --- |
| 8.70 | 1000 | 1 0 0 |
| 16.88 | 474 | 0 1 1 |
| 17.87 | 312 | 1 0 2 |
| 19.02 | 593 | 1 1 1 |
| 24.38 | 368 | 2 1 1 |
| 29.31 | 339 | 1 1 3 |
| 31.44 | 529 | 3 1 1 |
| 33.13 | 316 | 2 1 3 |
| 34.14 | 459 | 0 2 2 |
| 35.33 | 467 | 4 0 0 |
| 36.19 | 683 | 2 0 4 |
| 38.60 | 774 | 2 2 2 |

Structure:
```
data_HfMg14B
_chemical_formula_sum 'Hf2 Mg28 B2'
_symmetry_space_group_name_H-M 'A m m 2'
_symmetry_Int_Tables_number 38
_symmetry_space_group_name_Hall 'A 2 -2'
_cell_length_a 10.159
_cell_length_b 5.920
_cell_length_c 11.379
_cell_angle_alpha 90.00
_cell_angle_beta 90.00
_cell_angle_gamma 90.00
loop_
_atom_site_label
_atom_site_type_symbol
_atom_site_fract_x
_atom_site_fract_y
_atom_site_fract_z
_atom_site_occupancy
Hf1 Hf 0.000 0.000 0.000 1
Mg1 Mg 0.000 0.234 0.261 1
Mg2 Mg 0.168 0.000 0.602 1
Mg3 Mg 0.246 0.246 0.888 1
Mg4 Mg 0.252 0.000 0.139 1
Mg5 Mg 0.500 0.000 0.490 1
Mg6 Mg 0.500 0.000 0.979 1
Mg7 Mg 0.500 0.247 0.732 1
B1 B 0.000 0.000 0.442 1
```

No. 2
For HfMn10B2, a DFT-relaxed cell (GGA-PBE, Alexandria) gives the theoretical PXRD pattern in this record (Cu Kα X-rays).
Kinematic intensities with the Lorentz-polarization factor, no thermal factor.

Peak list (12 most intense, 5 to 70 degrees two-theta, sorted by position)
| 2theta | I/Imax | h k l |
| --- | --- | --- |
| 22.28 | 141 | 2 0 0 |
| 22.90 | 209 | 0 0 2 |
| 27.40 | 139 | 1 1 2 |
| 32.18 | 341 | 2 2 1 |
| 34.08 | 140 | 1 3 1 |
| 37.10 | 168 | 3 1 1 |
| 40.24 | 638 | 0 4 0 |
| 42.39 | 458 | 3 1 2 |
| 45.45 | 261 | 4 0 0 |
| 46.46 | 1000 | 2 2 3 |
| 46.80 | 516 | 0 0 4 |
| 47.23 | 259 | 3 3 1 |

Structure:
```
data_HfMn10B2
_chemical_formula_sum 'Hf4 Mn40 B8'
_symmetry_space_group_name_H-M 'C m c m'
_symmetry_Int_Tables_number 63
_symmetry_space_group_name_Hall '-C 2c 2'
_cell_length_a 7.982
_cell_length_b 8.955
_cell_length_c 7.773
_cell_angle_alpha 90.00
_cell_angle_beta 90.00
_cell_angle_gamma 90.00
loop_
_atom_site_label
_atom_site_type_symbol
_atom_site_fract_x
_atom_site_fract_y
_atom_site_fract_z
_atom_site_occupancy
Hf1 Hf 0.000 0.116 0.250 1
Mn1 Mn 0.000 0.174 0.592 1
Mn2 Mn 0.000 0.381 0.062 1
Mn3 Mn 0.138 0.389 0.750 1
Mn4 Mn 0.222 0.000 0.000 1
Mn5 Mn 0.248 0.364 0.250 1
B1 B 0.250 0.250 0.000 1
```

No. 3
For Hf3B4Mo, a DFT-relaxed cell (GGA-PBE, Alexandria) gives the theoretical PXRD pattern in this record (Cu Kα X-rays).
Kinematic intensities with the Lorentz-polarization factor, no thermal factor.

Peak list (12 most intense, 5 to 70 degrees two-theta, sorted by position)
| 2theta | I/Imax | h k l |
| --- | --- | --- |
| 26.87 | 114 | 1 0 1 |
| 27.88 | 462 | 0 1 3 |
| 34.86 | 1000 | 1 1 2 |
| 36.59 | 288 | 0 2 0 |
| 42.88 | 127 | 0 0 6 |
-- stop --
Awoken Dead
Someone pasted materials data at this point:
Theoretical powder X-ray diffraction pattern
Compound: LiInCo2
Radiation: copper Kα
Structure: a cell relaxed with PBE

Peak list (10 most intense, 15 to 90 degrees two-theta, low angle first)
| 2theta | intensity |
| --- | --- |
| 21.28 | 64 |
| 23.02 | 29 |
| 23.38 | 29 |
| 30.17 | 24 |
| 35.13 | 34 |
| 41.23 | 100 |
| 41.66 | 97 |
| 41.86 | 50 |
| 43.32 | 52 |
| 58.23 | 18 |

```
LiInCo2
1.0
4.664 -1.584 0.000
4.664 1.584 0.000
-1.925 0.000 3.864
Li In Co
1 1 2
direct
0.000 0.000 0.000
0.227 0.227 0.727
0.461 0.461 0.458
0.760 0.760 0.259
```

~~~~~

Simulated powder X-ray diffraction pattern of SrAc3Tb for a wavelength of 1.5418 Å, from a PBE-relaxed structure.

Cell lengths 8.735, 5.630, 8.813 Å; angles 90.00, 90.63, 90.00 degrees
Element x y z (fractional)
Sr (0.246, 0.250, 0.259)
Sr (0.754, 0.750, 0.741)
Ac (0.148, 0.750, 0.946)
Ac (0.334, 0.750, 0.555)
Ac (0.438, 0.250, 0.846)
Ac (0.562, 0.750, 0.154)
Ac (0.666, 0.250, 0.445)
Ac (0.852, 0.250, 0.054)
Tb (0.052, 0.250, 0.649)
Tb (0.948, 0.750, 0.351)

Largest 6 diffraction maxima, sorted by position, 5° ≤ 2θ ≤ 70°:
27.58°, rel. 100.0; 27.85°, rel. 97.1; 31.79°, rel. 35.1; 32.27°, rel. 66.0; 45.93°, rel. 62.9; 54.57°, rel. 29.7

Simulated powder X-ray diffraction pattern of Ba2Pt3 for a wavelength of 1.5418 Å, from a PBE-relaxed structure.

Cell lengths 8.831, 8.831, 8.831 Å; angles 29.36, 29.36, 29.36 degrees
Element x y z (fractional)
Ba (0.091, 0.091, 0.091)
Ba (0.909, 0.909, 0.909)
Pt (0.333, 0.333, 0.333)
Pt (0.500, 0.500, 0.500)
Pt (0.667, 0.667, 0.667)

Largest 6 diffraction maxima, sorted by position, 5° ≤ 2θ ≤ 70°:
29.00°, rel. 100.0; 33.88°, rel. 51.0; 40.29°, rel. 72.0; 50.40°, rel. 21.8; 60.26°, rel. 40.6; 66.42°, rel. 20.5

Simulated powder X-ray diffraction pattern of Er3TmTl for a wavelength of 1.5418 Å, from a PBE-relaxed structure.

Cell lengths 12.759, 12.759, 4.751 Å; angles 90.00, 90.00, 158.47 degrees
Element x y z (fractional)
Er (0.048, 0.952, 0.750)
Er (0.251, 0.749, 0.750)
Er (0.448, 0.552, 0.750)
Er (0.552, 0.448, 0.250)
Er (0.749, 0.251, 0.250)
Er (0.952, 0.048, 0.250)
Tm (0.150, 0.850, 0.250)
Tm (0.850, 0.150, 0.750)
Tl (0.349, 0.651, 0.250)
Tl (0.651, 0.349, 0.750)

Largest 6 diffraction maxima, sorted by position, 5° ≤ 2θ ≤ 70°:
32.03°, rel. 100.0; 35.82°, rel. 18.5; 37.74°, rel. 16.2; 37.87°, rel. 16.0; 53.06°, rel. 24.3; 62.00°, rel. 15.1

Simulated powder X-ray diffraction pattern of YAl2Cu4Si for a wavelength of 1.5418 Å, from a PBE-relaxed structure.

Cell lengths 8.831, 8.831, 8.831 Å; angles 26.95, 26.95, 26.95 degrees
Element x y z (fractional)
Y (0.000, 0.000, 0.000)
Al (0.247, 0.247, 0.247)
Al (0.753, 0.753, 0.753)
Cu (0.130, 0.130, 0.130)
Cu (0.407, 0.407, 0.407)
Cu (0.593, 0.593, 0.593)
Cu (0.870, 0.870, 0.870)
Si (0.500, 0.500, 0.500)

Largest 6 diffraction maxima, sorted by position, 5° ≤ 2θ ≤ 70°:
25.95°, rel. 25.6; 30.59°, rel. 20.2; 35.21°, rel. 60.6; 37.85°, rel. 70.2; 44.00°, rel. 100.0; 46.72°, rel. 18.1
Now shaddup about the queues, it's a BUG
but at least J?mpok has no interest in normalized relations with the federation at this point, outside of cooperation against the borg. thats us players, TFO members, the minority in universe.
Capt. Will Conquest of the U.S.S. Crusader
there must be a simple way they can set up a console to give out regular 'federation news service updates' or 'KDF intelligence' operative in the back ally of qo'nos to keep you updated on the latest intelligence/news.
Those that do not know history are doomed to repeat it. The Duras are not to be trusted. The Romulans are not to be trusted. The Remans, they are honorable warriors and we will aid them. However, we are Klingons and we can not over look the actions of these dishonorable petaQ so easily. There is still a lot of animosity and hatred that exists, and the high council expects us to trust them so easily? I will remain cautious and keep my mek'leth close at hand. I suspect ... no I expect Romulan treachery.
+1000 _________
that's mean... a new klingon ship:D? or only prepare the weapons that exist now against iconians??
#1. If we are to be allies with both Factions in relation to the Romulans and get their tech but not able to play actual romulans and then the fake romulan aliens we made would need to be able to be turned into actual romulans...
#2. There is a Fed/KDF war but yet both sides are in an alliance with the Romulan Star Empire. It's like the hatfields and the mckoys go to a restraunt and because they both like the food they just happen to not shoot each other until they get to the parking lot?
#3. How is the KDF going to benefit from this alliance? How is it benefiting from a cease fire or possible end to the Fed/KDF war? I could see the federation going into an alliance but very vague look of it being any romulan can come in and pretend to be one of them and sabotage the alliance and then so much hostility in the past against the KDF that they could even look at peace lol.
This all seems an attempt in reality to keep the war going but to declaw the KDF once and for all.
Although it would be cool if we had a negh'var-scimitar hybrid to come out of this then I could agree on it
But just because this has happened in the past, does not mean the Klingons have to turn them away at every turn without thinking. That would not be honorable.
No, they'll meet with the Romulans, as honor dicates
And blindly fighting enemies when you could potentially learn more about their defenses, and subdue them without effort? Where's the honor in blindly lashing out based on past prejudices? That'd make them no better than the Tal'Shiar
Been playing STO since Open Beta, and have never regarded anything as worse than 'meh', if only due to personal standards.
Duras and his father were dishonorable, but Ja'rod (this Ja'rod) appears to be a good example for other warriors.
This was a great read. Thanks, Cryptic!
"Critics who say that the optimistic utopia Star Trek depicted is now outmoded forget the cultural context that gave birth to it: Star Trek was not a manifestation of optimism when optimism was easy. Star Trek declared a hope for a future that nobody stuck in the present could believe in. For all our struggles today, we haven’t outgrown the need for stories like Star Trek. We need tales of optimism, of heroes, of courage and goodness now as much as we’ve ever needed them."
-Thomas Marrone
Ja'rod the Elder was a traitor, Duras was a traitor, Toral was a traitor, Lursa was a traitor, B'etor was a traitor, and most recently foster-father Torg was a traitor. But we can trust Ja'rod the Younger, really.
this is the only PC game which has the story outside the game on a site
How hard would it be to just give this script to a dev, and just make a cut scene only mission where we arent participating, just watching the turn of events. Something like that. Devs are always saying hardly any of their players come to the forums, Im assuming that means website to, so why do you only feed the story to us irrelevant few on the forums?
Capt. Will Conquest of the U.S.S. Crusader
You are forgetting the Jm'pok/Ja'arod deal with House of Torg that raised Ja'rod and got Worf banished from the Great Hall... So this is a good example to set for other warriors... I think not :P
USS Casinghead NCC 92047 launched 2350
Fleet Admiral Stowe - Dominion War Vet.
If we can not see regular story content missions illustrating progression like this - please develop other ways. Even just a new datachip every month that has a 100% chance of dropping from all npcs (only once per character).
Surely thats possible Cryptic.
1. Good job Cryptic, I'm glad you finally justified the Klingon involvement with the new Romulus movement.
2. The Empire is on the verge of renewed civil war. The House of Martok and their supporters want to end the war with the Feds and fight the Roms. The House of Duras want it the other way around. J'mpok supports the Duras, because he needs their support politically, and he doesn't want to look weak (he advocated the federation war). My prediciton: Duras and Martok will be on the verge of fighting when the H'urq return with their Fekhliri allies/slaves and TRIBBLE both houses over. Then the two will combine to fight their new mutual enemy.
3. The Iconians, having lost the Romulans are proxies, seem to be switching to the Tholians. But their pillaging of the romulans has cost them: they accidentally united the Federation, Klingons, and Romulans. my Prediction: This three-pronged alliance will be the bulkhead for the defense against the Borg, Undine, and Iconians. The Iconian allies will be the Tholians and the Tal Shiar. The stage is set.